Whats a bad trip even like?

Materials data from another source follow =
'''
Structure and simulated XRD peak list of Gd2TmIn3Cu2Pt (DFT lattice parameters and positions (PBE); CuKα).

Main lines, by angle (10 to 80 degrees two-theta):
| d/Å | 2θ (°) | I/Imax | (hkl) |
| --- | --- | --- | --- |
| 2.736 | 32.7 | 100 | 1 3 1 |
| 2.523 | 35.6 | 99 | 1 4 0 |
| 2.467 | 36.4 | 40 | 0 1 3 |
| 2.175 | 41.5 | 42 | 0 6 0 |
| 2.096 | 43.2 | 28 | 1 1 3 |
| 1.401 | 66.8 | 36 | 1 1 5 |

Structure:
Lattice parameters (Å, degrees): 3.978 13.056 7.533 90.00 90.00 90.00
Space group Amm2 (No. 38)
Inequivalent atoms, fractional coordinates:
1 Gd 0.000 0.202 0.000 x4
2 Tm 0.000 0.000 0.394 x2
3 In 0.500 0.000 0.060 x2
4 In 0.500 0.131 0.664 x4
5 Cu 0.500 0.164 0.298 x4
6 Pt 0.000 0.000 0.793 x2


The following is a computed powder diffractogram of Cu2Ni4Mo. It was derived from a structure optimized by DFT (GGA-PBE), using Cu Kα, 1.54184 Å.

Cell and atoms:
```
data_Cu2Ni4Mo
_space_group_name_H-M_alt 'C m m m'
_space_group_IT_number 65
_space_group_name_Hall '-C 2 2'
_cell_length_a 3.8292
_cell_length_b 17.2684
_cell_length_c 2.5306
_cell_angle_alpha 90.00
_cell_angle_beta 90.00
_cell_angle_gamma 90.00
loop_
_atom_site_label
_atom_site_fract_x
_atom_site_fract_y
_atom_site_fract_z
Cu1 0.0000 0.2106 0.0000
Ni1 0.0000 0.0723 0.0000
Ni2 0.0000 0.3536 0.5000
Mo1 0.0000 0.5000 0.5000
```

Top 10 peaks for 10° ≤ 2θ ≤ 90°, low angle first:
two_theta  I (rel.)
43.17  91.3
43.65  100.0
47.49  39.1
47.86  32.2
55.99  20.5
69.72  19.4
76.41  15.7
85.36  11.4
85.69  12.6
86.58  10.2


The following is a theoretical XRD peak list of HoErO3. It was derived from a crystal structure in the Materials Project, relaxed with PBE, using Cu Kα (λ = 1.5418 Å).

Crystal structure
Lattice parameters (Å, degrees): 4.246 4.246 4.246 90.00 90.00 90.00
Space group Pm-3m (No. 221)
Inequivalent atoms, fractional coordinates:
Ho: 0.000 0.000 0.000 (multiplicity 1)
Er: 0.500 0.500 0.500 (multiplicity 1)
O: 0.000 0.500 0.500 (multiplicity 3)

The 9 most intense peaks (2θ from 10° to 90°), most intense first:
2θ = 29.75°, rel. 1000
2θ = 52.81°, rel. 416
2θ = 42.58°, rel. 277
2θ = 85.58°, rel. 218
2θ = 70.07°, rel. 181
2θ = 61.79°, rel. 177
2θ = 77.94°, rel. 59
2θ = 36.66°, rel. 9
2θ = 20.92°, rel. 5


1.
This entry pairs a crystal structure of Gd2W4O15 with its simulated powder XRD pattern. Radiation: copper Kα. Structure: a DFT-relaxed cell (GGA+U, the Materials Project).

Main lines, by angle (10 to 90 degrees two-theta):
22.75°, I = 100
24.63°, I = 63
24.75°, I = 33
25.45°, I = 39
26.15°, I = 28
26.68°, I = 34
28.47°, I = 33
29.10°, I = 44
30.12°, I = 27
32.27°, I = 36

Crystal structure
```
data_Gd2W4O15
_space_group_name_H-M_alt 'P -1'
_space_group_IT_number 2
_cell_length_a 7.419
_cell_length_b 7.574
_cell_length_c 11.802
_cell_angle_alpha 88.72
_cell_angle_beta 83.61
_cell_angle_gamma 84.01
loop_
_space_group_symop_operation_xyz
'x,y,z'
'-x,-y,-z'
loop_
_atom_site_label
_atom_site_fract_x
_atom_site_fract_y
_atom_site_fract_z
_atom_site_occupancy
Gd1 0.182 0.092 0.223 1
'''


Well-Known Member
Most of you having bad trips is due to your lack of pre-flight maintenance. If you don't know the area or the people you are around, then you are asking for it.


Well-Known Member
The only bad trip i've experienced was basically just a panic attack from hell. I probably lost 5 pounds just sweating....

One of the thoughts I had during that 2 hour period was when I noticed a screwdriver on the ground and I thought "I can stab myself with that and this will all end..."

### Records of crystals, kept here for reference
The following is a theoretical XRD peak list of CeTl2CdSe4. It was derived from DFT lattice parameters and positions (GGA-PBE), using CuKα.

Main lines, by angle (15° ≤ 2θ ≤ 90°):
- (0 0 2), 23.0 deg, rel. 14
- (1 1 -1), 25.5 deg, rel. 17
- (2 0 -2), 29.0 deg, rel. 52
- (1 1 1), 29.1 deg, rel. 100
- (1 1 -3), 39.5 deg, rel. 40
- (2 0 2), 40.6 deg, rel. 18
- (0 2 0), 42.7 deg, rel. 19
- (3 1 -1), 43.5 deg, rel. 35
- (0 0 4), 47.1 deg, rel. 10
- (2 2 -2), 52.4 deg, rel. 20
- (2 2 2), 60.4 deg, rel. 11
- (5 1 -3), 71.0 deg, rel. 9

Crystal structure
```
data_CeTl2CdSe4
_cell_length_a 7.160
_cell_length_b 4.236
_cell_length_c 8.142
_cell_angle_alpha 90.00
_cell_angle_beta 108.56
_cell_angle_gamma 90.00
_symmetry_space_group_name_H-M 'P 1'
_symmetry_Int_Tables_number 1
loop_
_symmetry_equiv_pos_as_xyz
'x,y,z'
loop_
_atom_site_label
_atom_site_type_symbol
_atom_site_fract_x
_atom_site_fract_y
_atom_site_fract_z
_atom_site_occupancy
Ce1 Ce 0.000 0.000 0.000 1
Tl1 Tl 0.000 0.500 0.500 1
Tl2 Tl 0.500 0.000 0.500 1
Cd1 Cd 0.500 0.500 0.000 1
Se1 Se 0.226 0.500 0.213 1
Se2 Se 0.266 0.000 0.799 1
Se3 Se 0.734 0.000 0.201 1
Se4 Se 0.774 0.500 0.787 1
```


1.
Structure and theoretical powder XRD pattern of Fe4Ir7Rh6 (a DFT-relaxed cell (PBE, Alexandria); Cu Kα (λ = 1.5418 Å)).
Kinematic intensities with the Lorentz-polarization factor, no thermal factor.

Crystal structure
```
data_Fe4Ir7Rh6
_chemical_formula_sum 'Fe8 Ir14 Rh12'
_cell_length_a 8.0252
_cell_length_b 8.0252
_cell_length_c 8.0252
_cell_angle_alpha 90.00
_cell_angle_beta 90.00
_cell_angle_gamma 90.00
_symmetry_space_group_name_H-M 'I m -3 m'
_symmetry_Int_Tables_number 229
_symmetry_space_group_name_Hall '-I 4 2 3'
loop_
_atom_site_label
_atom_site_type_symbol
_atom_site_fract_x
_atom_site_fract_y
_atom_site_fract_z
_atom_site_occupancy
Fe1 Fe 0.2500 0.2500 0.2500 1
Ir1 Ir 0.0000 0.0000 0.0000 1
Ir2 Ir 0.0000 0.2500 0.5000 1
Rh1 Rh 0.0000 0.0000 0.2964 1
```

Principal peaks in the range 10° ≤ 2θ ≤ 90°, sorted by position:
22.15 deg, d 4.013, intensity 35.6, hkl 2 0 0; 27.22 deg, d 3.276, intensity 18.3, hkl 2 1 1; 38.87 deg, d 2.317, intensity 100.0, hkl 2 2 2; 42.13 deg, d 2.145, intensity 39.9, hkl 3 2 1; 45.19 deg, d 2.006, intensity 71.3, hkl 4 0 0; 53.56 deg, d 1.711, intensity 20.9, hkl 3 3 2; 65.83 deg, d 1.419, intensity 40.5, hkl 4 4 0; 79.17 deg, d 1.210, intensity 28.4, hkl 6 2 2; 83.45 deg, d 1.158, intensity 12.4, hkl 4 4 4; 89.81 deg, d 1.092, intensity 14.1, hkl 6 3 3

=====

2.
Structure and theoretical powder XRD pattern of FeIrRuRh (a DFT-relaxed cell (PBE, Alexandria); Cu Kα (λ = 1.5418 Å)).
Kinematic intensities with the Lorentz-polarization factor, no thermal factor.

Crystal structure
```
data_FeIrRuRh
_chemical_formula_sum 'Fe2 Ir2 Ru2 Rh2'
_cell_length_a 4.0856
_cell_length_b 2.6819
_cell_length_c 10.0477
_cell_angle_alpha 90.00
_cell_angle_beta 90.00
_cell_angle_gamma 90.00
_symmetry_space_group_name_H-M 'A m m 2'
_symmetry_Int_Tables_number 38
### The article goes on

The panic attack was induced when I was left alone...I started to think about EVERY person I had ever wronged and all the bad things i've done. It really got to my head....

The bad trip was very positive for me though...it made me analyze things I had been bottling up, and after the trip was over I felt so fresh and free of the anxieties that had haunted me before. If that makes any sense.... :dunce:


New Member
I have been enraptured in catatonic despair that lasted several years from a bad LSD trip. When I see how the world could have been if we all loved one another and lived in peace contrasted against the backdrop of the current world I really freakin lost it.
It took me a long time to come to terms with it. I still see the abomination that is modern life, I see it every day. But, I have learned to deal with it.
I have not taken any hallucinogen since then, now 20 years later I do desire to consume peyote again (see if I can puke out my demons again) but the opportunity hasn't arisen.

Some people take drugs and get high, Some people take drugs and the universe unfolds before them..... I am the latter.
To the OP asking about whether or not bad trips are really real...please listen to the posters that talk about state of mind, environment, and someone on here that described a breakthrough. You sound very sure of yourself, which I am sure that you are. Meaning, I believe you do take all the right precautions, and you are level headed, and you understand the drug and what to expect. HOWEVER, there may or may not come a time where you will push it a little further maybe, or get something that is UNEXPECTED, and when that happens, I hope that you can deal with the unexpected. For me, that is what got me. When I had a trip that was very different from any other I had previously had, it set things in motion to spiral out of my control. I was cocky and EXPECTED to be able to manage my own thoughts like in the past. When the extreme sweating kicked in, and I noticed a loof of terror and concern in my friends' eyes, it got even worse. I learned a lot that night about myself and the world that night. I am glad that I had that trip, but I do not wish to go through it again. A lot of my priorites changed in life, I was humbled, and I still see the world differently to this day. It wasn't like an episode of alcohol poisioning or a bad hangover where you just wish you could stop spinning, a bad trip is very benficial, you will most likely come out of it for the better, if you don't end up hurting yourself or those around you. Peace and good luck!
The only bad trip i've experienced was basically just a panic attack from hell. I probably lost 5 pounds just sweating....

One of the thoughts I had during that 2 hour period was when I noticed a screwdriver on the ground and I thought "I can stab myself with that and this will all end..."

The panic attack was induced when I was left alone...I started to think about EVERY person I had ever wronged and all the bad things i've done. It really got to my head....

~~~
LaMn9Ge4: theoretical PXRD pattern (Cu Kα (weighted mean of Kα1 and Kα2)), based on the GGA-PBE geometry in Alexandria.
Kinematic intensities with the Lorentz-polarization factor, no thermal factor.

Cell and atoms:
```
data_LaMn9Ge4
_cell_length_a 8.060
_cell_length_b 8.060
_cell_length_c 11.914
_cell_angle_alpha 90.00
_cell_angle_beta 90.00
_cell_angle_gamma 90.00
_space_group_name_H-M_alt 'I 4/m c m'
_space_group_IT_number 140
_space_group_name_Hall '-I 4 2c'
loop_
_atom_site_label
_atom_site_type_symbol
_atom_site_fract_x
_atom_site_fract_y
_atom_site_fract_z
La1 La 0.000 0.000 0.250
Mn1 Mn 0.000 0.500 0.000
Mn2 Mn 0.055 0.189 0.000
Mn3 Mn 0.113 0.387 0.173
Ge1 Ge 0.180 0.320 0.375
```

The 10 most intense peaks (2θ from 10° to 90°), sorted by position:
33.96 deg, rel. 47, hkl 1 1 4; 34.90 deg, rel. 28, hkl 2 2 2; 35.21 deg, rel. 31, hkl 3 1 0; 37.55 deg, rel. 76, hkl 2 0 4; 38.41 deg, rel. 100, hkl 3 1 2; 45.65 deg, rel. 57, hkl 0 0 6; 46.62 deg, rel. 57, hkl 3 2 3; 47.11 deg, rel. 65, hkl 4 1 1; 55.02 deg, rel. 20, hkl 4 0 4; 82.29 deg, rel. 24, hkl 6 2 4

PrEr8Tm6: theoretical PXRD pattern (Cu Kα (weighted mean of Kα1 and Kα2)), based on the GGA-PBE geometry in Alexandria.
Kinematic intensities with the Lorentz-polarization factor, no thermal factor.

Cell and atoms:
```
data_PrEr8Tm6
_cell_length_a 8.9260
_cell_length_b 8.9260
_cell_length_c 20.3785
_cell_angle_alpha 90.00
_cell_angle_beta 90.00
_cell_angle_gamma 120.00
_space_group_name_H-M_alt 'R -3'
_space_group_IT_number 148
_space_group_name_Hall '-R 3'
loop_
_atom_site_label
_atom_site_type_symbol
_atom_site_fract_x
_atom_site_fract_y
_atom_site_fract_z
Pr1 Pr 0.0000 0.0000 0.0000
Er1 Er 0.0000 0.0000 0.4236
Er2 Er 0.0810 0.5523 0.8089
Tm1 Tm 0.0610 0.2446 0.7072
```

The 10 most intense peaks (2θ from 10° to 90°), sorted by position:
30.92 deg, rel. 20, hkl 3 -1 1; 31.88 deg, rel. 100, hkl 3 -2 2; 32.87 deg, rel. 30, hkl 1 0 7; 33.15 deg, rel. 9, hkl 1 1 6; 35.42 deg, rel. 12, hkl 2 1 4; 37.32 deg, rel. 14, hkl 0 3 3; 53.91 deg, rel. 13, hkl 0 3 9; 54.39 deg, rel. 6, hkl 1 4 0; 56.18 deg, rel. 9, hkl 5 -1 3; 61.20 deg, rel. 11, hkl 5 -2 7

TcSnIrOsS: theoretical PXRD pattern (Cu Kα (weighted mean of Kα1 and Kα2)), based on the GGA-PBE geometry in Alexandria.
Kinematic intensities with the Lorentz-polarization factor, no thermal factor.

Cell and atoms:
```
data_TcSnIrOsS
_cell_length_a 8.702
_cell_length_b 2.966
_cell_length_c 6.486
_cell_angle_alpha 90.00
_cell_angle_beta 101.79
_cell_angle_gamma 90.00
_space_group_name_H-M_alt 'C 1 m 1'
_space_group_IT_number 8
loop_
_space_group_symop_operation_xyz
'x,y,z'
'x,-y,z'
'x+1/2,y+1/2,z'
'x+1/2,-y+1/2,z'
loop_
_atom_site_label
_atom_site_type_symbol
_atom_site_fract_x
_atom_site_fract_y
_atom_site_fract_z
Tc1 Tc 0.000 0.000 0.000
Sn1 Sn 0.454 0.500 0.537
Ir1 Ir 0.143 0.500 0.347
Os1 Os 0.267 0.000 0.744
S1 S 0.215 0.500 0.008
```

The 10 most intense peaks (2θ from 10° to 90°), sorted by position:
~~~
Back to the page.

The bad trip was very positive for me though...it made me analyze things I had been bottling up, and after the trip was over I felt so fresh and free of the anxieties that had haunted me before. If that makes any sense.... :dunce:

Very similar to my bad trip, except I was sure what I had taken was going to kill me. So I thought I was already on my way to death. I called everyone in my phone and said sorry and goodbye, I admited a lot of wrongdoings, confessed a lot of things to people, and admited some of my deepest secrets. Those things I still have to deal with today, but on one hand the guilt that wieighed me down during my trip is something that I don't neccessarily have to deal with today. So out of it came some very positive things.